Could you search the data further below for the word "Th2BiSb3" and echo each line that has it?

# 1
La6MnSb15: theoretical powder diffractogram (CuKα), based on a DFT-relaxed cell (PBE, the Materials Project).
Peak positions follow from Bragg's law for the DFT cell and can differ from measured ones.

Main lines, in order of rising 2θ (10° ≤ 2θ ≤ 90°):
| 2θ/deg | I/Imax |
| --- | --- |
| 24.61 | 23 |
| 26.73 | 15 |
| 28.33 | 25 |
| 29.13 | 18 |
| 30.43 | 74 |
| 33.82 | 100 |
| 41.75 | 30 |
| 43.03 | 21 |
| 46.83 | 18 |
| 61.51 | 15 |

Atomic structure:
Lattice parameters (Å, degrees): 16.105 20.007 4.327 90.00 105.51 90.00
Space group Cm (No. 8)
Inequivalent atoms, fractional coordinates:
La  0.000  0.133  0.000
La  0.135  0.322  0.136
La  0.276  0.135  0.271
Mn  0.353  0.500  0.855
Sb  0.047  0.500  0.048
Sb  0.137  0.199  0.636
Sb  0.146  0.000  0.136
Sb  0.240  0.500  0.244
Sb  0.280  0.381  0.780
Sb  0.281  0.000  0.770
Sb  0.356  0.295  0.359
Sb  0.425  0.199  0.925
Sb  0.467  0.500  0.466
Sb  0.491  0.103  0.496

***

# 2
PrS2: theoretical powder diffractogram (CuKα), based on a DFT-relaxed cell (PBE, the Materials Project).
Peak positions follow from Bragg's law for the DFT cell and can differ from measured ones.

Main lines, in order of rising 2θ (10° ≤ 2θ ≤ 90°):
| 2θ/deg | I/Imax |
| --- | --- |
| 21.70 | 44 |
| 24.34 | 77 |
| 24.46 | 82 |
| 31.05 | 72 |
| 32.81 | 32 |
| 32.97 | 30 |
| 38.20 | 100 |
| 39.72 | 52 |
| 44.63 | 25 |
| 51.48 | 21 |

Atomic structure:
Lattice parameters (Å, degrees): 8.192 4.086 8.122 90.00 90.10 90.00
Space group P2_1/c (No. 14)
Inequivalent atoms, fractional coordinates:
Pr  0.224  0.212  0.370
S  0.134  0.738  0.125
S  0.498  0.655  0.393

***

# 3
YMg6Ga: theoretical powder diffractogram (CuKα), based on a DFT-relaxed cell (PBE, the Materials Project).
Peak positions follow from Bragg's law for the DFT cell and can differ from measured ones.

Main lines, in order of rising 2θ (10° ≤ 2θ ≤ 90°):
| 2θ/deg | I/Imax |
| --- | --- |
| 14.89 | 42 |
| 17.45 | 30 |
| 23.02 | 31 |
| 32.85 | 42 |
| 34.96 | 72 |
| 35.33 | 42 |
| 37.44 | 100 |
| 49.01 | 26 |
| 64.81 | 19 |
| 67.22 | 19 |

Atomic structure:
Lattice parameters (Å, degrees): 5.081 6.134 11.897 90.00 90.00 90.00
Space group Amm2 (No. 38)
Inequivalent atoms, fractional coordinates:
Y  0.000  0.000  0.000
Mg  0.000  0.247  0.747
Mg  0.500  0.000  0.159
Mg  0.500  0.000  0.629
Mg  0.500  0.249  0.393
Ga  0.000  0.000  0.474

=====

[1]
Theoretical powder diffractogram of TbTmSc2Se6 for Cu Kα X-rays, from a cell relaxed with PBE.
Kinematic intensities with the Lorentz-polarization factor, no thermal factor.

Peak list (10 most intense, 10 to 80 degrees two-theta, sorted by position)
d/Å, 2theta, I (rel.)
5.091, 17.42, 71
3.718, 23.93, 51
3.052, 29.26, 95
2.879, 31.06, 26
2.545, 35.26, 32
2.336, 38.54, 100
2.057, 44.03, 28
2.016, 44.97, 63
1.526, 60.68, 23
1.217, 78.63, 20

Structural model:
Cell lengths 7.4680, 7.4680, 7.4680 Å; angles 55.75, 55.75, 55.75 degrees
Element x y z (fractional)
Tb  0.0000  0.0000  0.0000
Tm  0.4977  0.4977  0.4977
Sc  0.3050  0.3050  0.3050
Sc  0.8062  0.8062  0.8062
Se  0.0780  0.4256  0.6883
Se  0.1958  0.9181  0.5764
Se  0.4256  0.6883  0.0780
Se  0.5764  0.1958  0.9181
Se  0.6883  0.0780  0.4256
Se  0.9181  0.5764  0.1958

[2]
Theoretical powder diffractogram of Th2BiSb3 for Cu Kα X-rays, from a cell relaxed with PBE.
Kinematic intensities with the Lorentz-polarization factor, no thermal factor.

Peak list (10 most intense, 10 to 80 degrees two-theta, sorted by position)
d/Å, 2theta, I (rel.)
4.016, 22.14, 34
3.065, 29.13, 41
2.985, 29.93, 80
2.602, 34.47, 100
2.527, 35.53, 37
2.232, 40.41, 56
1.804, 50.59, 36
1.673, 54.88, 22
1.578, 58.48, 19
1.349, 69.68, 27

Structural model:
Cell lengths 4.4639, 4.4639, 9.1958 Å; angles 90.00, 90.00, 90.00 degrees
Element x y z (fractional)
Th  0.0000  0.5000  0.2171
Th  0.5000  0.0000  0.7829
Bi  0.0000  0.0000  0.5000
Sb  0.0000  0.5000  0.8618
Sb  0.5000  0.0000  0.1382
Sb  0.5000  0.5000  0.5000

[3]

Theoretical powder diffractogram of Th2BiSb3 for Cu Kα X-rays, from a cell relaxed with PBE.